~~~
ORCA calculation (ωB97M-V/def2-TZVPD) on a structure of composition C22H33Cl2O3PdSSi2Te.

Energy relative to the best compared isomer or geometry (same formula, charge and spin), kcal per mole: 0.0
Largest force on an atom, eV/A: 0.791
Net charge: +1
Orbital gap (alpha / beta), eV: 5.40 / 5.39

Last column: natural (NBO) charge in e.
Atoms and positions in Å:
1 Pd -0.927 -0.932 -0.134  0.7452
2 Cl 3.578 1.130 -5.896  0.0207
3 C 2.366 0.948 -4.664  -0.0966
4 C 1.557 2.053 -4.334  -0.1758
5 C 0.595 1.943 -3.374  -0.1361
6 Cl -0.423 3.305 -3.019  0.0111
7 C 0.346 0.721 -2.667  0.4764
8 O -0.585 0.655 -1.799  -0.8182
9 C 1.185 -0.377 -3.026  -0.3256
10 C 1.121 -1.682 -2.424  0.4326
11 O 0.407 -2.099 -1.498  -0.6482
12 C 2.181 -0.237 -4.026  -0.1468
13 H 1.695 2.993 -4.853  0.2492
14 H 1.825 -2.412 -2.853  0.1481
15 H 2.801 -1.090 -4.280  0.2297
16 C -5.026 0.632 -0.439  -0.8236
17 S -3.280 0.582 -0.765  1.3123
18 O -2.589 0.563 0.609  -0.9849
19 C -3.152 -1.152 -1.231  -0.3213
20 C -3.286 -2.102 -0.212  -0.2737
21 C -3.142 -3.453 -0.526  -0.1373
22 C -2.864 -3.834 -1.828  -0.1837
23 C -2.731 -2.877 -2.836  -0.1866
24 C -2.863 -1.536 -2.545  -0.1897
25 H -5.262 -0.045 0.382  0.2447
26 H -5.536 0.333 -1.357  0.2535
27 H -5.284 1.659 -0.184  0.2571
28 H -3.553 -1.778 0.785  0.2541
29 H -3.262 -4.200 0.248  0.2252
30 H -2.745 -4.883 -2.066  0.2344
31 H -2.506 -3.184 -3.848  0.2368
32 H -2.738 -0.781 -3.312  0.2481
33 C 0.562 5.175 1.618  -1.1238
34 Si 1.463 3.606 1.274  1.6516
35 C 2.474 3.699 -0.269  -1.1364
36 C 2.527 3.108 2.707  -1.1362
37 C 0.147 2.240 1.052  -1.1529
38 Te 1.021 0.340 0.866  1.1203
39 C 0.676 -0.455 2.793  -1.1616
40 Si 1.095 -2.311 2.870  1.6505
41 C 1.050 -2.855 4.629  -1.1233
42 C -0.190 -3.179 1.844  -1.0989
43 C 2.764 -2.551 2.113  -1.1384
44 H 1.257 6.018 1.665  0.2557
45 H 0.034 5.121 2.573  0.2473
46 H -0.169 5.385 0.832  0.2506
47 H 3.347 4.343 -0.129  0.2568
48 H 1.881 4.099 -1.092  0.2557
49 H 2.849 2.717 -0.578  0.2374
50 H 3.277 3.883 2.892  0.2603
51 H 3.079 2.179 2.520  0.2292
52 H 1.943 2.986 3.624  0.2429
53 H -0.420 2.373 0.125  0.2934
54 H -0.549 2.164 1.890  0.2643
55 H -0.383 -0.261 2.983  0.2614
56 H 1.278 0.141 3.485  0.2653
57 H 0.069 -2.661 5.071  0.2485
58 H 1.805 -2.343 5.232  0.2521
59 H 1.242 -3.930 4.696  0.2562
60 H -1.109 -3.348 2.411  0.2445
61 H 0.169 -4.136 1.459  0.2596
62 H -0.461 -2.576 0.953  0.1867
63 H 3.485 -1.822 2.497  0.2459
64 H 2.736 -2.464 1.022  0.2428
65 H 3.147 -3.549 2.344  0.2608



ORCA calculation (ωB97M-V/def2-TZVPD) on an isolated molecule of C9H19N3O3.

Energy relative to the best compared isomer or geometry (same formula, charge and spin), kcal per mole: 77.8
Largest force on an atom, eV/A: 4.605
Net charge: 0
Orbital gap, eV: 9.80
SMILES string: C[C@H](NC(=O)[C@@H](N)CCCCN)C(=O)O

Last column: natural (NBO) charge in e.
Atoms and positions in Å:
1 C -3.587 -0.262 3.052  -0.6310
2 C -2.486 -0.259 1.996  -0.1506
3 N -2.690 -0.942 0.715  -0.6738
4 C -1.900 -0.663 -0.500  0.7130
5 O -2.367 -1.132 -1.512  -0.5465
6 C -0.603 0.167 -0.350  -0.1436
7 N 0.199 -0.921 0.246  -0.7730
8 C -0.196 0.731 -1.735  -0.4084
9 C 1.288 1.043 -1.827  -0.3629
10 C 2.171 -0.205 -2.053  -0.4366
11 C 3.549 0.246 -2.622  -0.2228
12 N 4.393 1.402 -1.938  -0.8343
13 C -1.370 -0.871 2.871  0.7518
14 O -1.306 -2.061 2.969  -0.5817
15 O -0.585 -0.043 3.559  -0.6985
16 H -3.979 -1.232 3.267  0.2364
17 H -3.245 0.462 3.858  0.2387
18 H -4.540 0.195 2.623  0.2250
19 H -2.235 0.775 1.627  0.2120
20 H -2.912 -1.964 0.918  0.4109
21 H -0.815 0.991 0.334  0.1794
22 H -0.294 -0.878 1.076  0.3375
23 H 1.089 -0.505 0.594  0.3477
24 H -0.789 1.525 -1.942  0.2112
25 H -0.398 -0.064 -2.484  0.2267
26 H 1.630 1.672 -0.781  0.1633
27 H 1.418 1.694 -2.609  0.2050
28 H 2.313 -0.804 -1.190  0.2052
29 H 1.661 -0.864 -2.702  0.2172
30 H 4.300 -0.617 -2.618  0.1961
31 H 3.494 0.533 -3.727  0.1918
32 H 3.707 2.166 -1.689  0.3441
33 H 4.772 1.120 -1.066  0.3456
34 H 0.311 -0.435 3.639  0.5049
~~~

Please type out the rows further above from the first line to the one with "-1.735" word for word.

ORCA calculation (ωB97M-V/def2-TZVPD) on a structure of composition C22H33Cl2O3PdSSi2Te.

Energy relative to the best compared isomer or geometry (same formula, charge and spin), kcal per mole: 0.0
Largest force on an atom, eV/A: 0.791
Net charge: +1
Orbital gap (alpha / beta), eV: 5.40 / 5.39

Last column: natural (NBO) charge in e.
Atoms and positions in Å:
1 Pd -0.927 -0.932 -0.134  0.7452
2 Cl 3.578 1.130 -5.896  0.0207
3 C 2.366 0.948 -4.664  -0.0966
4 C 1.557 2.053 -4.334  -0.1758
5 C 0.595 1.943 -3.374  -0.1361
6 Cl -0.423 3.305 -3.019  0.0111
7 C 0.346 0.721 -2.667  0.4764
8 O -0.585 0.655 -1.799  -0.8182
9 C 1.185 -0.377 -3.026  -0.3256
10 C 1.121 -1.682 -2.424  0.4326
11 O 0.407 -2.099 -1.498  -0.6482
12 C 2.181 -0.237 -4.026  -0.1468
13 H 1.695 2.993 -4.853  0.2492
14 H 1.825 -2.412 -2.853  0.1481
15 H 2.801 -1.090 -4.280  0.2297
16 C -5.026 0.632 -0.439  -0.8236
17 S -3.280 0.582 -0.765  1.3123
18 O -2.589 0.563 0.609  -0.9849
19 C -3.152 -1.152 -1.231  -0.3213
20 C -3.286 -2.102 -0.212  -0.2737
21 C -3.142 -3.453 -0.526  -0.1373
22 C -2.864 -3.834 -1.828  -0.1837
23 C -2.731 -2.877 -2.836  -0.1866
24 C -2.863 -1.536 -2.545  -0.1897
25 H -5.262 -0.045 0.382  0.2447
26 H -5.536 0.333 -1.357  0.2535
27 H -5.284 1.659 -0.184  0.2571
28 H -3.553 -1.778 0.785  0.2541
29 H -3.262 -4.200 0.248  0.2252
30 H -2.745 -4.883 -2.066  0.2344
31 H -2.506 -3.184 -3.848  0.2368
32 H -2.738 -0.781 -3.312  0.2481
33 C 0.562 5.175 1.618  -1.1238
34 Si 1.463 3.606 1.274  1.6516
35 C 2.474 3.699 -0.269  -1.1364
36 C 2.527 3.108 2.707  -1.1362
37 C 0.147 2.240 1.052  -1.1529
38 Te 1.021 0.340 0.866  1.1203
39 C 0.676 -0.455 2.793  -1.1616
40 Si 1.095 -2.311 2.870  1.6505
41 C 1.050 -2.855 4.629  -1.1233
42 C -0.190 -3.179 1.844  -1.0989
43 C 2.764 -2.551 2.113  -1.1384
44 H 1.257 6.018 1.665  0.2557
45 H 0.034 5.121 2.573  0.2473
46 H -0.169 5.385 0.832  0.2506
47 H 3.347 4.343 -0.129  0.2568
48 H 1.881 4.099 -1.092  0.2557
49 H 2.849 2.717 -0.578  0.2374
50 H 3.277 3.883 2.892  0.2603
51 H 3.079 2.179 2.520  0.2292
52 H 1.943 2.986 3.624  0.2429
53 H -0.420 2.373 0.125  0.2934
54 H -0.549 2.164 1.890  0.2643
55 H -0.383 -0.261 2.983  0.2614
56 H 1.278 0.141 3.485  0.2653
57 H 0.069 -2.661 5.071  0.2485
58 H 1.805 -2.343 5.232  0.2521
59 H 1.242 -3.930 4.696  0.2562
60 H -1.109 -3.348 2.411  0.2445
61 H 0.169 -4.136 1.459  0.2596
62 H -0.461 -2.576 0.953  0.1867
63 H 3.485 -1.822 2.497  0.2459
64 H 2.736 -2.464 1.022  0.2428
65 H 3.147 -3.549 2.344  0.2608



ORCA calculation (ωB97M-V/def2-TZVPD) on an isolated molecule of C9H19N3O3.

Energy relative to the best compared isomer or geometry (same formula, charge and spin), kcal per mole: 77.8
Largest force on an atom, eV/A: 4.605
Net charge: 0
Orbital gap, eV: 9.80
SMILES string: C[C@H](NC(=O)[C@@H](N)CCCCN)C(=O)O

Last column: natural (NBO) charge in e.
Atoms and positions in Å:
1 C -3.587 -0.262 3.052  -0.6310
2 C -2.486 -0.259 1.996  -0.1506
3 N -2.690 -0.942 0.715  -0.6738
4 C -1.900 -0.663 -0.500  0.7130
5 O -2.367 -1.132 -1.512  -0.5465
6 C -0.603 0.167 -0.350  -0.1436
7 N 0.199 -0.921 0.246  -0.7730
8 C -0.196 0.731 -1.735  -0.4084